In the afternoon of Monday, July 1, names of the best exporting brands of Latvia were announced. Each of these companies was presented with a special red jacket, because once Latvia had already drawn attention with one. We all remember the legendary photo of then–president of Latvia Vaira Vīķe–Freiberga in a bright red jacket standing out among her foreign colleagues dressed in grey. Most importantly, the suit was worn by a distinguished, brave and powerful personality. But how could a brand earn a red jacket and who made it?
Time and again we have reasoned, argued and tried to convince each other about what would be the right way to promote our country? Singing, enclosed by blue cows or perhaps illustrated with a beating gingerbread heart? We haven’t found the right approach yet, because the attempts have all been artificial. But why invent something, when all we need is right here? Lively and zealous, brave and risking. Brands, which we use and are proud of, and which have conquered or soon will conquer foreign markets, making Latvia’s name known abroad. A country is known by its personalities, not by advertising campaigns.
But how to find the best and the most inspirational ones, which could set an example so that more strong brands would emerge every year? With such purpose the movement «The Red Jackets» was created last year. Its co–authors are: director of international business consultancy «GatewayBaltic» Inese Andersone, brands’ nest «MATKA» brand creator Inese Apse–Apsīte and advertising agency’s «DDB Latvia» managing director Andris Rubīns, as well as Latvian Chamber of Commerce and Industry and public relations company «MRS Grupa».
Selection process
There were several criteria for selecting the 25 best exporting brands of Latvia. First of all — does the company export products or services at a total of at least 500 thousand lats a year. Then it was investigated if the brand has been created in Latvia. It is not «North66» that produces clothing in Saldus, nor «Brabantia» that exports ironing boards made in Tukums to Belgium, but brands that are really born in Latvia. Out of 1555 large exporters, such were 750 brands, less than a half. The selection continued with judging the company’s website — is it available in at least two foreign languages and does the website clearly present the brand’s story and mission. After reaching 100 potential winners, the project’s co–authors together with partners of the movement selected 25 best exporting brands of Latvia that each received a red jacket on Monday. Those are: «airBaltic», «Biosan», «DEAC», «Dobeles dzirnavnieks», «Evopipes», «Grindeks», «Hanzas elektronika», «Latvijas Balzams», «Latvijas Dzelzceļš», «Latvijas Finieris», «Lauma Fabrics», «Lauma Lingerie», «Livonia Print», «Madara Cosmetics», «New Rosme», «NP Foods», «PAA», «PET Baltija», «Primekss», «SAF Tehnika», «Stenders», «Tilde», «UPB», «Valmieras Stikla šķiedra» un «Valpro».
Alongside them 11 «Rising Stars» were announced — talanted and interesting young entrepreneurs that do not export at 500 thousand lats yet, but that have the potential to reach the amount rather soon. There are several design brands among them as well. The winners are: «Blindsave», «Brain Games», «Kukuu», «Munio Candela», «Pompidoo», «Cube systems», «Positivus», «Pure Chocolate», «Utha», «Vendon» un «Very Berry».

Businessmen from swamps
Soon after the movement «The Red Jackets» was initiated, it became clear that the winners should be awarded with real red jackets, and vests with a possibility to attach sleeves very soon — to the «Rising Stars». But how to do that without knowing the exact measurements of the future wearer of the garment? Present them with a symbolic paper jacket and the designer’s number — so that each one can make an appointment and make the designers life, to put it mildly, difficult for a while?
The red jacket question was forwarded to Inese Andersone and Inese Apse–Apsīte, who invited the author of these lines to be a project manager. Quite soon we came to the conclusion that we have reached a dead end — the previously mentioned measurements were missing and there was no time to organize a pitch for the designers we had in mind. Not even speaking of making patterns and flooding our inboxes with messages of coordination…
Then I remembered that a couple of days ago in the newly opened Latvian design shop «Paviljons» on the corner of Stabu and Tērbatas street I tried on a raincoat from the latest collection of One Wolf by Agnese Narņicka. The oversized unisex model with large pockets and a proper hood… The rest is history. A couple of hours later Agnese had agreed to sew the Latvian red jackets — red raincoats for entrepreneurs that come from a country of woods and swamps, where businessmen work in offices during the week, but on weekends leave the city to go mushroom and berry picking, fishing, boating and bird watching.
On the inside of each jacket, where the warm heart of the wearer is, a story about Latvia is sewn in:
«We come from the woods.
From swamps.
- - -
Record 1
# La5Pr12Nd
Computed powder diffraction line list, Cu Kα (λ = 1.5418 Å). Input: the PBE geometry in Alexandria.
Neutral-atom scattering factors, no anomalous dispersion.

Cell lengths 11.148, 11.148, 5.272 Å; angles 90.00, 90.00, 90.01 degrees
Element x y z (fractional)
La1 0.000 0.000 0.000
La2 0.166 0.834 0.500
La3 0.333 0.667 0.000
La4 0.667 0.333 0.000
La5 0.834 0.166 0.500
Pr1 0.001 0.334 0.000
Pr2 0.167 0.167 0.500
Pr3 0.167 0.500 0.500
Pr4 0.333 0.333 0.000
Pr5 0.334 0.001 0.000
Pr6 0.500 0.167 0.500
Pr7 0.500 0.833 0.500
Pr8 0.666 0.999 0.000
Pr9 0.667 0.667 0.000
Pr10 0.833 0.500 0.500
Pr11 0.833 0.833 0.500
Pr12 0.999 0.666 0.000
Nd1 0.500 0.500 0.500

The 10 most intense peaks (2θ = 10–90°), most intense first:
| Position (°2θ) | I (rel.) |
| --- | --- |
| 29.41 | 100 |
| 48.97 | 37 |
| 34.12 | 34 |
| 58.21 | 29 |
| 34.01 | 17 |
| 58.06 | 15 |
| 61.01 | 13 |
| 79.35 | 12 |
| 81.96 | 11 |
| 79.48 | 6 |

Record 2
# La2DyPa2Rh5
Computed powder diffraction line list, Cu Kα (λ = 1.5418 Å). Input: the PBE geometry in Alexandria.
Neutral-atom scattering factors, no anomalous dispersion.

Cell lengths 11.098, 11.098, 3.590 Å; angles 90.00, 90.00, 90.00 degrees
Element x y z (fractional)
La1 0.170 0.330 0.000
La2 0.330 0.830 0.000
La3 0.670 0.170 0.000
La4 0.830 0.670 0.000
Dy1 0.000 0.000 0.000
Dy2 0.500 0.500 0.000
Pa1 0.140 0.640 0.000
Pa2 0.360 0.140 0.000
Pa3 0.640 0.860 0.000
Pa4 0.860 0.360 0.000
Rh1 0.000 0.500 0.500
Rh2 0.058 0.800 0.500
Rh3 0.200 0.058 0.500
Rh4 0.300 0.558 0.500
Rh5 0.442 0.300 0.500
Rh6 0.500 0.000 0.500
Rh7 0.558 0.700 0.500
Rh8 0.700 0.442 0.500
Rh9 0.800 0.942 0.500
Rh10 0.942 0.200 0.500

The 10 most intense peaks (2θ = 10–90°), most intense first:
| Position (°2θ) | I (rel.) |
| --- | --- |
| 35.78 | 100 |
| 34.28 | 24 |
| 38.52 | 24 |
| 17.87 | 23 |
| 41.12 | 19 |
| 25.38 | 19 |
| 33.84 | 16 |
| 36.20 | 15 |
| 50.86 | 15 |
| 33.29 | 13 |

Record 3
# Pa2Ga3Ni
Computed powder diffraction line list, Cu Kα (λ = 1.5418 Å). Input: the PBE geometry in Alexandria.
Neutral-atom scattering factors, no anomalous dispersion.

Cell lengths 8.888, 8.386, 5.570 Å; angles 76.15, 66.36, 37.48 degrees
Element x y z (fractional)
Pa1 0.241 0.759 0.759
Pa2 0.250 0.250 0.250
Pa3 0.750 0.750 0.750
Pa4 0.759 0.241 0.241
Ga1 0.161 0.669 0.331
Ga2 0.329 0.329 0.671
Ga3 0.331 0.839 0.161
Ga4 0.669 0.161 0.839
Ga5 0.671 0.671 0.329
Ga6 0.839 0.331 0.669
Ni1 0.166 0.166 0.834
Ni2 0.834 0.834 0.166

The 10 most intense peaks (2θ = 10–90°), most intense first:
| Position (°2θ) | I (rel.) |
| --- | --- |
| 35.55 | 100 |
| 23.09 | 39 |
| 40.60 | 36 |
| 70.46 | 30 |
| 54.97 | 27 |
| 70.61 | 18 |
| 40.50 | 18 |
| 55.10 | 10 |
| 73.73 | 6 |
| 60.36 | 6 |

Record 4
# Tm2Al2Fe15
Computed powder diffraction line list, Cu Kα (λ = 1.5418 Å). Input: the PBE geometry in Alexandria.
Neutral-atom scattering factors, no anomalous dispersion.

Cell lengths 6.358, 6.358, 6.358 Å; angles 81.70, 81.70, 81.70 degrees
Element x y z (fractional)
- - -
From the North.
From a green, the greenest country.
By the sea full of golden amber.
Where the East and the West cross.
Where all four seasons are fragrant.
Where it tastes sweet–and–sour like cranberries with honey, like rye bread with carrots.
We are stubborn as deer.
Persistent as cranes.
Busy as bees.We are in between. Cultures, people, events, in the centre and still aside, clear, alive and fresh. We understand without words, we feel differences and unity. We are a bridge between times, thoughts, languages.
We put sea buckthorns, hemp, mighty pines, birch sap in our pockets. In the stitches we sew in knowledge and skills, which the world has long forgotten, but we put to good use and create new and more.
And we come to you, the beautiful, the wise, the others.
To give something unseen, surprising, deep.»
«The Red Jackets» movement is going to continue, and in 2015 again new best exporting brands — co–authors and ambassadors of the story of Latvia — are going to be awarded.
